## Source
/*
Version w
Sr2YMgTlCu2O7 | the Materials Project | PBE-GGA | optimized geometry; space group = P4mm
1.0
3.861 0.000 0.000
0.000 3.861 0.000
0.000 0.000 15.441
Sr Y Mg Tl Cu O
2 1 1 1 2 7
Direct
0.000 0.000 0.000
0.000 0.000 0.312
0.000 0.000 0.765
0.000 0.000 0.574
0.500 0.500 0.160
0.500 0.500 0.633
0.500 0.500 0.866
0.000 0.000 0.159
0.000 0.500 0.625
0.000 0.500 0.837
0.500 0.000 0.625
0.500 0.000 0.837
0.500 0.500 0.004
0.500 0.500 0.318

=====

Version x
Sr2YMgTlCu2O7 | the Materials Project | PBE-GGA | optimized geometry; space group = Pmm2
1.0
3.739 0.000 0.000
0.000 3.832 0.000
0.000 0.000 14.497
Sr Y Mg Tl Cu O
2 1 1 1 2 7
Direct
0.000 0.000 0.000
0.000 0.000 0.484
0.000 0.000 0.243
0.000 0.500 0.637
0.500 0.500 0.796
0.500 0.500 0.123
0.500 0.500 0.364
0.000 0.000 0.675
0.000 0.500 0.143
0.000 0.500 0.345
0.500 0.000 0.138
0.500 0.000 0.345
0.500 0.500 0.538
0.500 0.500 0.959

=====

Version y
Sr2YMgTlCu2O7 | the Materials Project | PBE-GGA | optimized geometry; space group = Amm2
1.0
11.951 0.000 0.000
0.000 2.894 3.113
0.000 -2.894 3.113
Sr Y Mg Tl Cu O
2 1 1 1 2 7
Direct
0.209 0.000 0.000
0.791 0.000 0.000
0.500 0.771 0.771
0.500 0.229 0.229
0.000 0.542 0.542
0.299 0.505 0.505
0.701 0.505 0.505
0.000 0.893 0.893
0.160 0.373 0.373
0.392 0.330 0.857
0.392 0.857 0.330
0.608 0.330 0.857
0.608 0.857 0.330
0.840 0.373 0.373

=====

Stability, highest: version x

=====

Version w
MgCu3Te2O10 | the Materials Project | PBE-GGA | optimized geometry; space group = P-1
1.0
5.342 0.000 0.000
-1.617 5.746 0.000
-1.474 -2.461 7.055
Mg Cu Te O
1 3 2 10
Direct
0.000 0.000 0.000
0.196 0.376 0.409
0.500 0.000 0.500
0.804 0.624 0.591
0.385 0.796 0.795
0.615 0.204 0.205
0.038 0.678 0.838
0.178 0.808 0.558
0.300 0.020 0.265
0.374 0.145 0.955
0.433 0.490 0.668
0.567 0.510 0.332
0.626 0.855 0.045
0.700 0.980 0.735
0.822 0.192 0.442
0.962 0.322 0.162

=====

Version x
MgCu3Te2O10 | the Materials Project | PBE-GGA | optimized geometry; space group = P1
1.0
5.229 0.000 0.000
-1.656 5.440 0.000
-1.369 -2.680 7.276
Mg Cu Te O
1 3 2 10
Direct
0.000 0.000 0.000
0.150 0.045 0.467
0.461 0.690 0.577
0.757 0.296 0.671
0.345 0.492 0.871
0.555 0.874 0.275
0.127 0.514 0.655
0.254 0.683 0.353
0.315 0.844 0.036
0.398 0.176 0.734
0.512 0.199 0.412
0.557 0.529 0.110
0.663 0.707 0.813
0.786 0.868 0.499
0.906 0.046 0.240
0.999 0.287 0.896

=====

Stability, highest: version x

=====

Version w
MgCu2Te2O8 | the Materials Project | PBE-GGA | optimized geometry; space group = P-1
1.0
5.537 0.000 0.000
-0.402 6.261 0.000
-2.212 -3.209 5.163
Mg Cu Te O
1 2 2 8
Direct
0.000 0.000 0.000
0.000 0.500 0.000
0.500 0.500 0.000
0.000 0.000 0.500
0.000 0.500 0.500
0.191 0.239 0.914
0.195 0.239 0.410
0.205 0.664 0.885
0.236 0.736 0.492
0.764 0.264 0.508
0.795 0.336 0.115
0.805 0.761 0.590
0.809 0.761 0.086

=====

Version x
MgCu2Te2O8 | the Materials Project | PBE-GGA | optimized geometry; space group = P-1
1.0
5.594 0.000 0.000
-0.006 6.227 0.000
-2.479 -3.115 5.113
Mg Cu Te O
1 2 2 8
Direct
0.000 0.000 0.000
0.000 0.500 0.000
0.500 0.500 0.000
0.000 0.000 0.500
0.000 0.500 0.500
0.188 0.213 0.890
0.188 0.677 0.890
0.208 0.220 0.439
0.230 0.748 0.496
0.770 0.252 0.504
0.792 0.780 0.561
0.812 0.323 0.110
0.812 0.787 0.110

=====

Version y
MgCu2Te2O8 | the Materials Project | PBE-GGA | optimized geometry; space group = Cm
1.0
5.643 -2.900 0.000
5.643 2.900 0.000
-3.452 0.000 5.486
Mg Cu Te O
1 2 2 8
Direct
0.000 0.000 0.000
0.163 0.664 0.449
0.664 0.163 0.449
0.663 0.663 0.941
0.665 0.665 0.469
0.398 0.888 0.120
0.452 0.452 0.296
0.458 0.458 0.699
0.465 0.909 0.724
0.872 0.872 0.173
0.888 0.398 0.120
0.898 0.898 0.636
0.909 0.465 0.724

=====

Stability, highest: version y

* * * * *

(1)
! LiHg3 | the Materials Project | PBE | optimized geometry; values from VASP
! Total DFT energy (no corrections) (hartree per atom): -0.032
! SG: Pm-3m (221)
&SYSTEM
  ibrav = 0, nat = 4, ntyp = 2
/
ATOMIC_SPECIES
Li 6.94 Li.upf
Hg 200.59 Hg.upf
ATOMIC_POSITIONS angstrom
*/
## Request
Transcribe every line further above that contains the word "Amm2".
## Solution
Sr2YMgTlCu2O7 | the Materials Project | PBE-GGA | optimized geometry; space group = Amm2